<<<
{
  "formula": "C2H5N3",
  "method": "ωB97M-V/def2-TZVPD",
  "e_lumo_ev": -13.4,
  "max_force_ev_per_a": 2.755,
  "smiles": "CC(=[NH2+])[N+]#N",
  "gap_ev": 11.14,
  "total_energy_ha": -242.63686,
  "total_charge": 2,
  "spin_multiplicity": 1,
  "symbols": ["C", "C", "N", "N", "N", "H", "H", "H", "H", "H"],
  "positions_angstrom": [[0.50074, -0.58118, 0.84964], [-0.10359, 0.18416, -0.17746], [-1.34212, 0.25875, -0.35576], [0.83550, 0.85787, -1.06465], [1.62034, 1.15245, -1.76128], [-0.15218, -1.36080, 1.22193], [1.33325, -1.13327, 0.36838], [0.91492, 0.05232, 1.71923], [-1.92294, -0.32510, 0.22823], [-1.68392, 0.89482, -1.02825]],
  "forces_ev_per_angstrom": [[2.4, -0.8, 1.1], [0.2, -0.5, 1.3], [0.8, 0.6, -0.7], [-0.7, 0.1, -0.2], [0.4, 0.3, -0.2], [-0.5, 0.1, 0.3], [0.2, 0.2, 0.5], [-0.4, -0.7, -1.2], [-0.8, -0.1, 0.3], [-1.5, 0.8, -1.2]],
  "mulliken_charge": [-1.049, 0.673, -0.069, 0.446, 0.181, 0.405, 0.399, 0.393, 0.329, 0.291]
}

=====

# 1
Here is a molecular structure, C29H40N2O2P3STi in a non-equilibrium geometry from OMol25. Energies are from ωB97M-V/def2-TZVPD.

LUMO energy (alpha / beta)   -2.261 / -2.822 eV
Maximum force   1.7 eV Å⁻¹
Net charge   +1
⟨S²⟩   2.020
Kohn-Sham gap (alpha / beta)   7.38 / 8.53 eV
HOMO level (alpha / beta)   -9.64 / -11.35 eV
Relative energy (zero: lowest compared OMol25 entry of this formula, charge and spin)   25.1 kJ/mol
Total energy   -3660.66212 Ha
2S+1   3

Each line ends with the Löwdin charge.
Geometry (Å):
Ti -16.0086 2.1861 -3.1634  0.269
C -16.6440 0.3476 -6.2931  -0.250
P -17.4608 1.4976 -5.1320  0.837
C -19.1525 0.8403 -4.9703  -0.229
C -17.6731 3.0734 -6.0090  -0.396
C -18.0465 3.0418 -7.3454  -0.085
C -18.3066 4.2098 -8.0301  -0.058
C -18.1880 5.4353 -7.3920  -0.056
C -17.7864 5.4912 -6.0692  -0.069
C -17.5287 4.3132 -5.3705  -0.383
P -17.0287 4.3538 -3.6299  0.814
C -15.8926 5.7590 -3.4125  -0.236
C -18.5337 4.8848 -2.7515  -0.236
H -17.1926 0.1281 -7.2131  0.055
H -16.4915 -0.5871 -5.7677  0.033
H -15.6683 0.7473 -6.5583  0.025
H -19.7410 0.8631 -5.8809  0.054
H -19.6904 1.3702 -4.1768  0.042
H -19.1007 -0.2024 -4.6614  0.032
H -18.1636 2.0962 -7.8695  0.107
H -18.6042 4.1456 -9.0704  0.115
H -18.4121 6.3507 -7.9248  0.114
H -17.7182 6.4681 -5.5814  0.114
H -16.3109 6.7429 -3.6200  0.050
H -15.0049 5.6232 -4.0229  0.030
H -15.5617 5.7301 -2.3759  0.046
H -18.8924 5.8788 -3.0634  0.061
H -18.3461 4.9348 -1.6764  0.047
H -19.3240 4.1505 -2.8970  0.021
O -14.5584 2.8257 0.6715  0.055
C -15.4548 2.8711 -0.1623  -0.661
O -15.3853 3.2672 -1.4263  -0.242
C -16.8871 2.4026 0.2392  -0.188
P -17.7847 1.6971 -1.2406  1.035
C -16.9216 0.1565 -1.6007  -0.425
C -17.5987 -0.8159 -2.3706  -0.123
C -17.0094 -2.0087 -2.6507  -0.065
C -15.6776 -2.2408 -2.2748  -0.066
C -14.9714 -1.2641 -1.6198  -0.070
C -15.5995 -0.0594 -1.2690  -0.092
C -19.3695 1.1377 -0.6022  -0.378
C -20.5525 1.7899 -0.9430  -0.087
C -21.7383 1.4204 -0.3241  -0.066
C -21.7232 0.3856 0.5963  -0.059
C -20.5394 -0.2865 0.9157  -0.059
C -19.3617 0.0977 0.3262  -0.090
H -17.4772 3.2855 0.5002  0.096
H -16.8652 1.7359 1.0940  0.096
H -18.6413 -0.6663 -2.6285  0.100
H -17.5728 -2.7870 -3.1647  0.120
H -15.2191 -3.1943 -2.5486  0.117
H -13.9332 -1.4004 -1.3537  0.109
H -15.0469 0.6349 -0.6547  0.098
H -20.5213 2.6175 -1.6346  0.084
H -22.6611 1.9282 -0.5496  0.109
H -22.6253 0.0930 1.0974  0.106
H -20.5625 -1.0829 1.6500  0.114
H -18.4243 -0.3827 0.6020  0.119
C -12.9594 -1.7160 -4.9555  -0.078
C -12.7164 -0.2336 -4.8096  -0.234
N -13.7997 0.3647 -3.9967  -0.047
C -13.7293 1.7529 -3.8411  -0.844
S -14.5148 2.8316 -4.9079  0.758
N -12.9247 2.1860 -2.8664  0.035
C -12.2990 1.3887 -1.8019  -0.206
C -10.8066 1.6311 -1.8411  -0.067
H -12.2237 -2.1820 -5.6252  0.088
H -13.9448 -1.9361 -5.3719  0.071
H -12.8744 -2.2362 -4.0034  0.071
H -12.6710 0.2515 -5.7924  0.120
H -11.7525 -0.0490 -4.3348  0.111
H -14.6769 0.1134 -4.4738  0.077
H -12.8986 3.1879 -2.7440  0.141
H -12.5657 0.3473 -1.9500  0.097
H -12.7416 1.7131 -0.8623  0.110
>>>

Your job: give back the whole of the block further up without altering anything.

{
  "formula": "C2H5N3",
  "method": "ωB97M-V/def2-TZVPD",
  "e_lumo_ev": -13.4,
  "max_force_ev_per_a": 2.755,
  "smiles": "CC(=[NH2+])[N+]#N",
  "gap_ev": 11.14,
  "total_energy_ha": -242.63686,
  "total_charge": 2,
  "spin_multiplicity": 1,
  "symbols": ["C", "C", "N", "N", "N", "H", "H", "H", "H", "H"],
  "positions_angstrom": [[0.50074, -0.58118, 0.84964], [-0.10359, 0.18416, -0.17746], [-1.34212, 0.25875, -0.35576], [0.83550, 0.85787, -1.06465], [1.62034, 1.15245, -1.76128], [-0.15218, -1.36080, 1.22193], [1.33325, -1.13327, 0.36838], [0.91492, 0.05232, 1.71923], [-1.92294, -0.32510, 0.22823], [-1.68392, 0.89482, -1.02825]],
  "forces_ev_per_angstrom": [[2.4, -0.8, 1.1], [0.2, -0.5, 1.3], [0.8, 0.6, -0.7], [-0.7, 0.1, -0.2], [0.4, 0.3, -0.2], [-0.5, 0.1, 0.3], [0.2, 0.2, 0.5], [-0.4, -0.7, -1.2], [-0.8, -0.1, 0.3], [-1.5, 0.8, -1.2]],
  "mulliken_charge": [-1.049, 0.673, -0.069, 0.446, 0.181, 0.405, 0.399, 0.393, 0.329, 0.291]
}

=====

# 1
Here is a molecular structure, C29H40N2O2P3STi in a non-equilibrium geometry from OMol25. Energies are from ωB97M-V/def2-TZVPD.

LUMO energy (alpha / beta)   -2.261 / -2.822 eV
Maximum force   1.7 eV Å⁻¹
Net charge   +1
⟨S²⟩   2.020
Kohn-Sham gap (alpha / beta)   7.38 / 8.53 eV
HOMO level (alpha / beta)   -9.64 / -11.35 eV
Relative energy (zero: lowest compared OMol25 entry of this formula, charge and spin)   25.1 kJ/mol
Total energy   -3660.66212 Ha
2S+1   3

Each line ends with the Löwdin charge.
Geometry (Å):
Ti -16.0086 2.1861 -3.1634  0.269
C -16.6440 0.3476 -6.2931  -0.250
P -17.4608 1.4976 -5.1320  0.837
C -19.1525 0.8403 -4.9703  -0.229
C -17.6731 3.0734 -6.0090  -0.396
C -18.0465 3.0418 -7.3454  -0.085
C -18.3066 4.2098 -8.0301  -0.058
C -18.1880 5.4353 -7.3920  -0.056
C -17.7864 5.4912 -6.0692  -0.069
C -17.5287 4.3132 -5.3705  -0.383
P -17.0287 4.3538 -3.6299  0.814
C -15.8926 5.7590 -3.4125  -0.236
C -18.5337 4.8848 -2.7515  -0.236
H -17.1926 0.1281 -7.2131  0.055
H -16.4915 -0.5871 -5.7677  0.033
H -15.6683 0.7473 -6.5583  0.025
H -19.7410 0.8631 -5.8809  0.054
H -19.6904 1.3702 -4.1768  0.042
H -19.1007 -0.2024 -4.6614  0.032
H -18.1636 2.0962 -7.8695  0.107
H -18.6042 4.1456 -9.0704  0.115
H -18.4121 6.3507 -7.9248  0.114
H -17.7182 6.4681 -5.5814  0.114
H -16.3109 6.7429 -3.6200  0.050
H -15.0049 5.6232 -4.0229  0.030
H -15.5617 5.7301 -2.3759  0.046
H -18.8924 5.8788 -3.0634  0.061
H -18.3461 4.9348 -1.6764  0.047
H -19.3240 4.1505 -2.8970  0.021
O -14.5584 2.8257 0.6715  0.055
C -15.4548 2.8711 -0.1623  -0.661
O -15.3853 3.2672 -1.4263  -0.242
C -16.8871 2.4026 0.2392  -0.188
P -17.7847 1.6971 -1.2406  1.035
C -16.9216 0.1565 -1.6007  -0.425
C -17.5987 -0.8159 -2.3706  -0.123
C -17.0094 -2.0087 -2.6507  -0.065
C -15.6776 -2.2408 -2.2748  -0.066
C -14.9714 -1.2641 -1.6198  -0.070
C -15.5995 -0.0594 -1.2690  -0.092
C -19.3695 1.1377 -0.6022  -0.378
C -20.5525 1.7899 -0.9430  -0.087
C -21.7383 1.4204 -0.3241  -0.066
C -21.7232 0.3856 0.5963  -0.059
C -20.5394 -0.2865 0.9157  -0.059
C -19.3617 0.0977 0.3262  -0.090
H -17.4772 3.2855 0.5002  0.096
H -16.8652 1.7359 1.0940  0.096
H -18.6413 -0.6663 -2.6285  0.100
H -17.5728 -2.7870 -3.1647  0.120
H -15.2191 -3.1943 -2.5486  0.117
H -13.9332 -1.4004 -1.3537  0.109
H -15.0469 0.6349 -0.6547  0.098
H -20.5213 2.6175 -1.6346  0.084
H -22.6611 1.9282 -0.5496  0.109
H -22.6253 0.0930 1.0974  0.106
H -20.5625 -1.0829 1.6500  0.114
H -18.4243 -0.3827 0.6020  0.119
C -12.9594 -1.7160 -4.9555  -0.078
C -12.7164 -0.2336 -4.8096  -0.234
N -13.7997 0.3647 -3.9967  -0.047
C -13.7293 1.7529 -3.8411  -0.844
S -14.5148 2.8316 -4.9079  0.758
N -12.9247 2.1860 -2.8664  0.035
C -12.2990 1.3887 -1.8019  -0.206
C -10.8066 1.6311 -1.8411  -0.067
H -12.2237 -2.1820 -5.6252  0.088
H -13.9448 -1.9361 -5.3719  0.071
H -12.8744 -2.2362 -4.0034  0.071
H -12.6710 0.2515 -5.7924  0.120
H -11.7525 -0.0490 -4.3348  0.111
H -14.6769 0.1134 -4.4738  0.077
H -12.8986 3.1879 -2.7440  0.141
H -12.5657 0.3473 -1.9500  0.097
H -12.7416 1.7131 -0.8623  0.110